HOT - Q9550 $169 MC in store only

IMO $179 is great, $169 = FIRE!!!

local MC also shows $179.99 - which after tax and gas would still have been $20 less than I paid from Newegg this week.
Chicago, I have the mailer right here in front of me.
Posted via [H] Mobile Device
Smoking hot.

Nice price on the I7 920 as well.

Wonder if they are E0 an D0 revisions???
Man, if I had any software that ran on four cores besides WinRAR, I would be all over this.
I suspected that MC would have it at $180 soon

$169 is smoking hot. Keep telling myself to stick to the E7200 and get i7 sometime next year. At least I have a while to think about it...
Nice...JUST ordered one on the Egg for $219.00 Duh! Not even shipped yet, but charged. May be worth just gettin one @ MC and selling this one on Ebay. Good eye on the hot deal.
hmm, haven't seen this in stock at the Minneapolis store in months (at least online anyway)...nice deal for those who can get it!
Was at the one in Cleveland OH friday, and it was $180 for Q9550, and $230 for 920.
Just got back from getting my W7 preorder at the Chicago store. They have 11 in stock @ $169. The i7's are $199 but I didn't ask about stock. There are obviously a few as I could see the boxes.
It's the advertised price in the mailer I get. It says store-wide clearance sale, however, it shows all stores.
I suspected that MC would have it at $180 soon

$169 is smoking hot. Keep telling myself to stick to the E7200 and get i7 sometime next year. At least I have a while to think about it...

Records of crystals, as found in the file.
<<<
1.
# Er2Tm5In
Simulated powder diffraction line list, copper Kα. Input: the GGA-PBE geometry in Alexandria.
Neutral-atom scattering factors, no anomalous dispersion.

Cell and atoms:
a b c (Å): 6.4531 6.4531 15.2745
angles (deg): 90.00 90.00 131.22
Fractional positions:
Er1 0.2209 0.7791 0.6340
Er2 0.2209 0.7791 0.8660
Er3 0.7791 0.2209 0.1340
Er4 0.7791 0.2209 0.3660
Tm1 0.0851 0.9149 0.0878
Tm2 0.0851 0.9149 0.4122
Tm3 0.3893 0.6107 0.0535
Tm4 0.3893 0.6107 0.4465
Tm5 0.4739 0.5261 0.7500
Tm6 0.5261 0.4739 0.2500
Tm7 0.6107 0.3893 0.5535
Tm8 0.6107 0.3893 0.9465
Tm9 0.9149 0.0851 0.5878
Tm10 0.9149 0.0851 0.9122
In1 0.2487 0.7513 0.2500
In2 0.7513 0.2487 0.7500

The 10 most intense peaks (10 to 90 degrees two-theta), sorted by position:
3.091 Å, rel. 13
3.001 Å, rel. 31
2.743 Å, rel. 22
2.683 Å, rel. 100
2.665 Å, rel. 46
2.585 Å, rel. 43
2.546 Å, rel. 13
1.911 Å, rel. 16
1.601 Å, rel. 17
1.542 Å, rel. 19


2.
# MgInCoN
Simulated powder diffraction line list, copper Kα. Input: the GGA-PBE geometry in Alexandria.
Neutral-atom scattering factors, no anomalous dispersion.

Cell and atoms:
a b c (Å): 3.4693 3.6540 5.6093
angles (deg): 90.00 90.00 90.00
Fractional positions:
Mg1 0.0000 0.0000 0.0000
In1 0.5000 0.0000 0.5483
Co1 0.5000 0.5000 0.2046
N1 0.0000 0.5000 0.1932

The 10 most intense peaks (10 to 90 degrees two-theta), sorted by position:
5.609 Å, rel. 45
3.469 Å, rel. 51
3.062 Å, rel. 90
2.951 Å, rel. 54
2.805 Å, rel. 23
2.296 Å, rel. 100
2.225 Å, rel. 53
1.872 Å, rel. 40
1.735 Å, rel. 20
1.368 Å, rel. 20


3.
# Nb2Pb2Se4O15
Simulated powder diffraction line list, copper Kα. Input: the GGA-PBE geometry in Alexandria.
Neutral-atom scattering factors, no anomalous dispersion.

Cell and atoms:
a b c (Å): 14.0140 14.0140 7.8751
angles (deg): 94.03 94.03 29.72
Fractional positions:
Nb1 0.0628 0.0791 0.2371
Nb2 0.0791 0.0628 0.7371
Nb3 0.9209 0.9372 0.2629
Nb4 0.9372 0.9209 0.7629
Pb1 0.1868 0.4038 0.6852
Pb2 0.4038 0.1868 0.1852
Pb3 0.5962 0.8132 0.8148
Pb4 0.8132 0.5962 0.3148
Se1 0.0821 0.2942 0.9367
Se2 0.2942 0.0821 0.4367
Se3 0.3396 0.4987 0.4844
Se4 0.4987 0.3396 0.9844
Se5 0.5013 0.6604 0.0156
Se6 0.6604 0.5013 0.5156
Se7 0.7058 0.9179 0.5633
Se8 0.9179 0.7058 0.0633
O1 0.0014 0.1491 0.0154
O2 0.0034 0.9966 0.7500
O3 0.0454 0.5191 0.1843
O4 0.1423 0.1550 0.2834
O5 0.1491 0.0014 0.5154
O6 0.1550 0.1423 0.7834
O7 0.1664 0.2997 0.4512
O8 0.1949 0.6556 0.3091
O9 0.1996 0.6498 0.6629
O10 0.2997 0.1664 0.9512
O11 0.3299 0.3861 0.4685
O12 0.3444 0.8051 0.1909
O13 0.3502 0.8004 0.8371
O14 0.3861 0.3299 0.9685
O15 0.4809 0.9546 0.3157
O16 0.5191 0.0454 0.6843
O17 0.6139 0.6701 0.0315
O18 0.6498 0.1996 0.1629
O19 0.6556 0.1949 0.8091
O20 0.6701 0.6139 0.5315
O21 0.7003 0.8336 0.0488
O22 0.8004 0.3502 0.3371
O23 0.8051 0.3444 0.6909
O24 0.8336 0.7003 0.5488
O25 0.8450 0.8577 0.2166
O26 0.8509 0.9986 0.4846
>>>

I just upgraded from a e7200 and paid $220 for the Q9550
my advice is to GET THE Q9550 its ALOT faster than the e7200
i ran both chips at 3.4ghz and the Q9550 is alot fast and it OC better if you get a E0 revision !
I just upgraded from a e7200 and paid $220 for the Q9550
my advice is to GET THE Q9550 its ALOT faster than the e7200

yeah, I know its faster :p

can't decide whether to spend $170 or save it and get an i5/i7 sometime next year (or even the year after). I mostly just use internet and I haven't even been gaming recently. Even when I am gaming, its only about 10~15 hours a month
yeah, I know its faster :p

## Between two parts of the article: crystal structures
********
Record 1
Ac8Co3Pt: computed powder diffraction line list (Cu Kα (weighted mean of Kα1 and Kα2)), based on a GGA-PBE-relaxed structure.

Structure:
Cell lengths 8.354, 8.354, 8.320 Å; angles 117.49, 117.49, 62.34 degrees
Sites, in units of the cell vectors:
Ac 0.228 0.750 0.749
Ac 0.244 0.244 0.255
Ac 0.250 0.250 0.729
Ac 0.250 0.772 0.251
Ac 0.750 0.228 0.749
Ac 0.750 0.750 0.271
Ac 0.756 0.756 0.745
Ac 0.772 0.250 0.251
Co 0.000 0.000 0.000
Co 0.000 0.500 0.500
Co 0.500 0.000 0.500
Pt 0.500 0.500 0.000

Most intense lines, 2θ from 5° to 70°, low angle first:
2θ = 13.25°, intensity 28; 2θ = 25.38°, intensity 93; 2θ = 26.68°, intensity 26; 2θ = 29.68°, intensity 50; 2θ = 29.82°, intensity 100; 2θ = 41.77°, intensity 61; 2θ = 43.39°, intensity 34; 2θ = 43.57°, intensity 17; 2θ = 52.09°, intensity 21; 2θ = 61.95°, intensity 12; 2θ = 66.72°, intensity 13; 2θ = 68.99°, intensity 18

Record 2
NdSm7Tm4: computed powder diffraction line list (Cu Kα (weighted mean of Kα1 and Kα2)), based on a GGA-PBE-relaxed structure.

Structure:
Cell lengths 6.261, 7.226, 8.906 Å; angles 90.01, 103.55, 90.01 degrees
Sites, in units of the cell vectors:
Nd 0.000 0.000 0.000
Sm 0.000 0.500 0.000
Sm 0.223 0.000 0.665
Sm 0.280 0.748 0.336
Sm 0.499 0.254 0.002
Sm 0.501 0.746 0.998
Sm 0.720 0.252 0.664
Sm 0.777 0.000 0.335
Tm 0.219 0.500 0.664
Tm 0.278 0.254 0.335
Tm 0.722 0.746 0.665
Tm 0.781 0.500 0.336

Most intense lines, 2θ from 5° to 70°, low angle first:
2θ = 28.73°, intensity 36; 2θ = 29.35°, intensity 18; 2θ = 30.99°, intensity 51; 2θ = 31.74°, intensity 100; 2θ = 33.43°, intensity 91; 2θ = 40.01°, intensity 13; 2θ = 50.51°, intensity 39; 2θ = 54.49°, intensity 21; 2θ = 57.77°, intensity 20; 2θ = 60.45°, intensity 46; 2θ = 60.90°, intensity 16; 2θ = 61.93°, intensity 15

Record 3
La8Tb3Sm2: computed powder diffraction line list (Cu Kα (weighted mean of Kα1 and Kα2)), based on a GGA-PBE-relaxed structure.

Structure:
Cell lengths 9.068, 9.068, 6.200 Å; angles 107.41, 107.41, 81.99 degrees
Sites, in units of the cell vectors:
La 0.084 0.084 0.242
La 0.099 0.575 0.846
La 0.362 0.362 0.388
La 0.425 0.901 0.154
La 0.575 0.099 0.846
La 0.638 0.638 0.612
La 0.901 0.425 0.154
La 0.916 0.916 0.758
Tb 0.231 0.769 0.500
Tb 0.500 0.500 0.000
Tb 0.769 0.231 0.500
Sm 0.188 0.188 0.829
Sm 0.812 0.812 0.171

Most intense lines, 2θ from 5° to 70°, low angle first:
2θ = 24.92°, intensity 11; 2θ = 28.85°, intensity 23; 2θ = 29.16°, intensity 41; 2θ = 30.05°, intensity 55; 2θ = 30.27°, intensity 27; 2θ = 30.46°, intensity 100; 2θ = 32.04°, intensity 25; 2θ = 37.20°, intensity 17; 2θ = 38.70°, intensity 14; 2θ = 42.14°, intensity 15; 2θ = 53.53°, intensity 11; 2θ = 53.61°, intensity 18


Entry 1:
Diffraction record for V12Ga5H2. The powder diffractogram is computed, not measured: it uses a structure optimized by DFT (GGA-PBE) and Cu Kα.
Peak positions follow from Bragg's law for the DFT cell and can differ from measured ones.

Crystal structure
```
19
********

can't decide whether to spend $170 or save it and get an i5/i7 sometime next year (or even the year after). I mostly just use internet and I haven't even been gaming recently. Even when I am gaming, its only about 10~15 hours a month

********
Calculated powder diffraction line list of BaNpH3O6 for Cu Kα, from a DFT-relaxed cell (PBE, Alexandria).
Peak positions follow from Bragg's law for the DFT cell and can differ from measured ones.

Structure:
a b c (Å): 6.9725 7.0859 7.3665
angles (deg): 90.08 114.35 112.50
Space group P-1 (No. 2)
Symmetry-distinct sites (fractional):
Ba 0.1990 0.0308 0.3288 x2
Np 0.0000 0.5000 0.5000 x1
Np 0.5000 0.0000 0.0000 x1
H 0.2790 0.5506 0.9401 x2
H 0.3242 0.5218 0.2617 x2
H 0.4710 0.4334 0.1910 x2
O 0.0716 0.2632 0.5178 x2
O 0.2130 0.0060 0.9559 x2
O 0.2280 0.6438 0.4094 x2
O 0.3028 0.6387 0.8404 x2
O 0.3135 0.4133 0.1684 x2
O 0.4651 0.0567 0.7390 x2

Peak list (10 most intense, 2θ from 10° to 90°, low angle first)
- d 5.812, I 40, hkl 1 0 -1
- d 5.626, I 46, hkl 1 -1 0
- d 5.110, I 51, hkl 0 1 -1
- d 3.609, I 100, hkl 1 0 1
- d 3.448, I 61, hkl -2 1 1
- d 3.253, I 49, hkl -1 1 2
- d 3.214, I 58, hkl 0 2 0
- d 3.098, I 42, hkl 1 1 -2
- d 3.013, I 36, hkl 1 -2 1
- d 2.210, I 43, hkl -2 3 1
********

If all u do is use the internet then you don't really need to upgrade at all :p
i have an EO revision and they are extremely easy to oc
it does 3.4ghz on stock voltage !
I've got some ddr-800 ram and was considering either this deal or the q6600 on newegg. Would ddr800 really impede the performance of this processor? I'd probably OC, but would getting ddr1333 later on just be the better idea?
well like i have a Q9550 E0 stepping and i have my system at 1:1 ration running
8.5x 400fsb running my DDR2 ram at 800mhz
so unless you want to run high FSB then your fine with 800mhz ram
Wow, when I bought mine in late january it was 276. Great deal for upgraders not going the full i7 route.
what's the reason for offering these in-store only? i would bite on this if they would ship. I'd probably grab some AS5 while i'm at it. i don't have a MC within a 1000 miles of me.
what's the reason for offering these in-store only? i would bite on this if they would ship. I'd probably grab some AS5 while i'm at it. i don't have a MC within a 1000 miles of me.

The trick is getting customers into the store where they can try to sell you a ton of other items that you didn't even know you needed ;)
who cares ? ?! if you don;t have AS5 and you need it that you will buy it
and they probably only sell it for $5 - 10$ anyways
How much of an upgrade is this over a Q6600? (benches anywhere that compare the two?)
I'm also wondering this. Newegg's Shell Shocker today has the Q6600 for $170, so I can get a Q6600 for $170 or a Q9550 for $182 + gas.
Not enough of a difference to warrant upgrading from a Q6600 IMO, unless you can sell the chip and make back most or all of your money. However, it's definitely enough of a difference to spend the extra and get the Q9550 over the Q6600, especially if you're an overclocker.